- # -*- coding: utf-8 -*-
- import array
- from datetime import datetime
- import logging
- from nd2reader.model import Image, ImageSet
- from nd2reader.parser import Nd2Parser
- import re
- import struct
- log = logging.getLogger(__name__)
- log.addHandler(logging.StreamHandler())
- log.setLevel(logging.DEBUG)
- class Nd2(Nd2Parser):
- def __init__(self, filename, image_sets=False):
- super(Nd2, self).__init__(filename)
- self._use_image_sets = image_sets
- def __iter__(self):
- for i in range(self._image_count):
- for fov in range(self.field_of_view_count):
- for z_level in range(self.z_level_count):
- for channel_name in self.channels:
- image = self.get_image(i, fov, channel_name, z_level)
- if image.is_valid:
- yield image
- @property
- def image_sets(self):
- for time_index in xrange(self.time_index_count):
- image_set = ImageSet()
- for fov in range(self.field_of_view_count):
- for channel_name in self.channels:
- for z_level in xrange(self.z_level_count):
- image = self.get_image(time_index, fov, channel_name, z_level)
- if image.is_valid:
- image_set.add(image)
- yield image_set
- def get_image(self, time_index, fov, channel_name, z_level):
- image_set_number = self._calculate_image_set_number(time_index, fov, z_level)
- timestamp, raw_image_data = self._get_raw_image_data(image_set_number, self._channel_offset[channel_name])
- return Image(timestamp, raw_image_data, fov, channel_name, z_level, self.height, self.width)
- @property
- def channels(self):
- metadata = self.metadata['ImageMetadataSeq']['SLxPictureMetadata']['sPicturePlanes']
- try:
- validity = self.metadata['ImageMetadata']['SLxExperiment']['ppNextLevelEx'][''][0]['ppNextLevelEx'][''][0]['pItemValid']
- except KeyError:
- # If none of the channels have been deleted, there is no validity list, so we just make one
- validity = [True for _ in metadata]
- # Channel information is contained in dictionaries with the keys a0, a1...an where the number
- # indicates the order in which the channel is stored. So by sorting the dicts alphabetically
- # we get the correct order.
- for (label, chan), valid in zip(sorted(metadata['sPlaneNew'].items()), validity):
- if not valid:
- continue
- yield chan['sDescription']
- @property
- def height(self):
- """
- :return: height of each image, in pixels
- """
- return self.metadata['ImageAttributes']['SLxImageAttributes']['uiHeight']
- @property
- def width(self):
- """
- :return: width of each image, in pixels
- """
- return self.metadata['ImageAttributes']['SLxImageAttributes']['uiWidth']
- @property
- def absolute_start(self):
- for line in self.metadata['ImageTextInfo']['SLxImageTextInfo'].values():
- absolute_start_12 = None
- absolute_start_24 = None
- # ND2s seem to randomly switch between 12- and 24-hour representations.
- try:
- absolute_start_24 = datetime.strptime(line, "%m/%d/%Y %H:%M:%S")
- except ValueError:
- pass
- try:
- absolute_start_12 = datetime.strptime(line, "%m/%d/%Y %I:%M:%S %p")
- except ValueError:
- pass
- if not absolute_start_12 and not absolute_start_24:
- continue
- return absolute_start_12 if absolute_start_12 else absolute_start_24
- raise ValueError("This ND2 has no recorded start time. This is probably a bug.")
- @property
- def channel_count(self):
- pattern = r""".*?λ\((\d+)\).*?"""
- try:
- count = int(re.match(pattern, self._dimensions).group(1))
- except AttributeError:
- return 1
- else:
- return count
- @property
- def field_of_view_count(self):
- """
- The metadata contains information about fields of view, but it contains it even if some fields
- of view were cropped. We can't find anything that states which fields of view are actually
- in the image data, so we have to calculate it. There probably is something somewhere, since
- NIS Elements can figure it out, but we haven't found it yet.
- """
- pattern = r""".*?XY\((\d+)\).*?"""
- try:
- count = int(re.match(pattern, self._dimensions).group(1))
- except AttributeError:
- return 1
- else:
- return count
- @property
- def time_index_count(self):
- """
- The number of image sets. If images were acquired using some kind of cycle, all images at each step in the
- program will have the same timestamp (even though they may have varied by a few seconds in reality). For example,
- if you have four fields of view that you're constantly monitoring, and you take a bright field and GFP image of
- each, and you repeat that process 100 times, you'll have 800 individual images. But there will only be 400
- time indexes.
- :rtype: int
- """
- pattern = r""".*?T'\((\d+)\).*?"""
- try:
- count = int(re.match(pattern, self._dimensions).group(1))
- except AttributeError:
- return 1
- else:
- return count
- @property
- def z_level_count(self):
- pattern = r""".*?Z\((\d+)\).*?"""
- try:
- count = int(re.match(pattern, self._dimensions).group(1))
- except AttributeError:
- return 1
- else:
- return count
- @property
- def _channel_offset(self):
- """
- Image data is interleaved for each image set. That is, if there are four images in a set, the first image
- will consist of pixels 1, 5, 9, etc, the second will be pixels 2, 6, 10, and so forth. Why this would be the
- case is beyond me, but that's how it works.
- """
- channel_offset = {}
- for n, channel in enumerate(self.channels):
- channel_offset[channel] = n
- return channel_offset
- def _get_raw_image_data(self, image_set_number, channel_offset):
- chunk = self._label_map["ImageDataSeq|%d!" % image_set_number]
********
[1]
# CsHfAs2 (GGA-PBE, optimized geometry)
data_CsHfAs2
_chemical_formula_sum 'Cs4 Hf4 As8'
_symmetry_space_group_name_H-M 'F m -3 m'
_symmetry_Int_Tables_number 225
_symmetry_space_group_name_Hall '-F 4 2 3'
_cell_length_a 7.349
_cell_length_b 7.349
_cell_length_c 7.349
_cell_angle_alpha 90.00
_cell_angle_beta 90.00
_cell_angle_gamma 90.00
loop_
_atom_site_label
_atom_site_fract_x
_atom_site_fract_y
_atom_site_fract_z
Cs1 0.000 0.000 0.000
Hf1 0.000 0.000 0.500
As1 0.250 0.250 0.250
# - energy above the lowest structure with this stoichiometry (meV/atom) = 881
# - ΔH_f (0 K) (eV per atom) = 0.280
# - DOS(E_F) (states/eV/f.u.) = 1.6

[2]
# CsHf3As (GGA-PBE, optimized geometry)
data_CsHf3As
_chemical_formula_sum 'Cs1 Hf3 As1'
_symmetry_space_group_name_H-M 'P m -3 m'
_symmetry_Int_Tables_number 221
_symmetry_space_group_name_Hall '-P 4 2 3'
_cell_length_a 5.187
_cell_length_b 5.187
_cell_length_c 5.187
_cell_angle_alpha 90.00
_cell_angle_beta 90.00
_cell_angle_gamma 90.00
loop_
_atom_site_label
_atom_site_fract_x
_atom_site_fract_y
_atom_site_fract_z
Cs1 0.000 0.000 0.000
Hf1 0.000 0.500 0.500
As1 0.500 0.500 0.500
# - energy above the lowest structure with this stoichiometry (meV/atom) = 0
# - ΔH_f (0 K) (eV per atom) = 0.769
# - DOS(E_F) (states/eV/f.u.) = 4.3

[3]
# CsHfAs3 (GGA-PBE, optimized geometry)
data_CsHfAs3
_chemical_formula_sum 'Cs1 Hf1 As3'
_symmetry_space_group_name_H-M 'P m -3 m'
_symmetry_Int_Tables_number 221
_symmetry_space_group_name_Hall '-P 4 2 3'
_cell_length_a 5.429
_cell_length_b 5.429
_cell_length_c 5.429
_cell_angle_alpha 90.00
_cell_angle_beta 90.00
_cell_angle_gamma 90.00
loop_
_atom_site_label
_atom_site_fract_x
_atom_site_fract_y
_atom_site_fract_z
Cs1 0.000 0.000 0.000
Hf1 0.500 0.500 0.500
As1 0.000 0.000 0.500
# - ΔH_f (0 K) (eV per atom) = 1.902
# - DOS(E_F) (states/eV/f.u.) = 3.5

[4]
# CsHf3As (GGA-PBE, optimized geometry)
data_CsHf3As
_chemical_formula_sum 'Cs1 Hf3 As1'
_symmetry_space_group_name_H-M 'P m -3 m'
_symmetry_Int_Tables_number 221
_symmetry_space_group_name_Hall '-P 4 2 3'
_cell_length_a 5.240
_cell_length_b 5.240
_cell_length_c 5.240
_cell_angle_alpha 90.00
_cell_angle_beta 90.00
_cell_angle_gamma 90.00
loop_
_atom_site_label
_atom_site_fract_x
_atom_site_fract_y
_atom_site_fract_z
Cs1 0.000 0.000 0.000
Hf1 0.000 0.000 0.500
As1 0.500 0.500 0.500
# - energy above the lowest structure with this stoichiometry (meV/atom) = 1610
# - ΔH_f (0 K) (eV per atom) = 2.379
# - DOS(E_F) (states/eV/f.u.) = 11.7

[5]
# CsHfAs2 (GGA-PBE, optimized geometry)
data_CsHfAs2
_chemical_formula_sum 'Cs3 Hf3 As6'
_symmetry_space_group_name_H-M 'R -3 m'
_symmetry_Int_Tables_number 166
_symmetry_space_group_name_Hall '-R 3 2"'
_cell_length_a 4.0470
_cell_length_b 4.0470
********
- data = self._read_chunk(chunk)
- timestamp = struct.unpack("d", data[:8])[0]
- # The images for the various channels are interleaved within each other.
First-principles (PBE) data for a geometry-optimized YTm3Pb12 structure, as listed in Alexandria.

Computed properties:
- Space-group type: P4/mmm (123)
- E_form: -0.241 eV per atom

```
YTm3Pb12
1.0
-4.746 0.536 -1.118
-1.213 -1.103 4.623
0.991 18.583 4.694
Y Tm Pb
1 3 12
direct
0.000 0.000 0.000
0.000 0.000 0.250
0.000 0.000 0.500
0.000 0.000 0.750
0.500 0.500 0.000
0.500 0.500 0.251
0.500 0.500 0.500
0.500 0.500 0.749
0.500 0.000 0.126
0.500 0.000 0.375
0.500 0.000 0.625
0.500 0.000 0.874
0.000 0.500 0.126
0.000 0.500 0.375
0.000 0.500 0.625
0.000 0.500 0.874
```

* * * * *

Below is crystalline Rb3Th3ZnTe8 at its relaxed geometry, with properties calculated at the PBE-GGA level.

Geometry as POSCAR:
```
Rb3Th3ZnTe8
1.0
9.113 0.000 0.000
-4.557 7.885 -0.031
0.000 -5.221 8.710
Th Te Rb Zn
3 8 3 1
Cartesian
-2.278 1.332 4.340
2.278 1.332 4.340
4.557 -2.610 4.355
2.230 -1.331 2.699
4.557 2.707 2.690
-2.327 3.996 5.980
2.327 3.996 5.981
0.000 2.638 2.511
6.884 -1.332 2.699
4.557 0.026 6.168
0.000 -0.043 5.989
0.000 0.000 0.000
-2.278 3.943 -0.015
2.278 3.943 -0.015
0.000 -2.611 4.355
```

- Energy: -67.217 eV for the cell shown
- Crystal system: monoclinic
- DOS at the Fermi energy: 3.478 states/eV/cell
- Formation energy without anion corrections: -15.65 eV/f.u.
- Space group: No. 12

---

Below is crystalline Rb3Th2ZrTe6 at its relaxed geometry, with properties calculated at the PBE-GGA level.

Geometry as POSCAR:
```
Rb3Th2ZrTe6
1.0
-1.080 7.526 0.957
-1.836 -3.333 -6.652
-7.132 -2.954 4.923
Te Zr Rb Th
6 1 3 2
Cartesian
-7.805 2.627 0.736
-3.664 2.534 -3.253
-8.047 -0.849 -1.699
-2.243 -1.387 -1.507
-2.001 2.088 0.928
-6.384 -1.295 2.482
0.000 0.000 0.000
-4.776 4.187 2.114
-5.272 -2.948 -2.885
-5.024 0.620 -0.385
-1.583 0.299 -4.107
-1.333 3.894 -1.587
```

- Energy: -58.205 eV for the cell shown
- Crystal system: monoclinic
- DOS at the Fermi energy: 8.531 states/eV/cell
- Formation energy without anion corrections: -13.06 eV/f.u.
- Space group: No. 12

---

Below is crystalline Rb3Th3ZrTe8 at its relaxed geometry, with properties calculated at the PBE-GGA level.

Geometry as POSCAR:
```
Rb3Th3ZrTe8
1.0
-8.304 0.898 -2.693
3.444 -8.005 1.009
-2.324 4.912 8.805
Te Th Rb Zr
8 3 3 1
Cartesian
-4.486 -3.688 5.131
-6.147 0.359 4.775
-5.238 -2.220 1.111
-0.147 -4.158 6.538
-1.037 -2.554 2.346
-2.698 1.493 1.990
-7.037 1.963 0.583
-1.946 0.025 6.010
-3.592 -1.098 3.560
-5.314 2.905 3.056
0.560 -1.547 4.907
1.722 -4.003 0.504
-2.430 -3.553 -0.842
0.000 0.000 0.000
-1.162 2.456 4.403
```

- Energy: -75.688 eV for the cell shown
- Crystal system: trigonal
- DOS at the Fermi energy: 10.487 states/eV/cell
- Formation energy without anion corrections: -16.84 eV/f.u.
- Space group: No. 166

---

Below is crystalline Rb3Ti5Te12 at its relaxed geometry, with properties calculated at the PBE-GGA level.

Geometry as POSCAR:
```
Rb3Ti5Te12
1.0
-5.991 14.259 2.245
-11.394 -10.652 0.984
10.795 -2.894 10.924
Rb Te Ti
12 48 20
Cartesian
-4.045 -4.451 8.408
- image_data = array.array("H", data)
- image_data_start = 4 + channel_offset
- return timestamp, image_data[image_data_start::self.channel_count]
- def _calculate_image_set_number(self, time_index, fov, z_level):
- return time_index * self.field_of_view_count * self.z_level_count + (fov * self.z_level_count + z_level)